The Mikey Pollan
Ideal meal: Heritage chicken stir-fry with kohlrabi, heirloom bell peppers, and buckwheat soba noodles.
Overheard at family table: “Mom, this kale is a little more delicate than I’m used to — are you sure it isn’t Tuscan? Did you massage it?”
Overheard at playdate with less food-aware friend: “No, thanks. My mom says real Parmesan doesn’t come in green cans.”
Life’s ambition: The purposeful beard.
In 10 years, will be: A junior at Oberlin.
The Refusenik
Ideal meal: Whatever you’re not serving.
Calling card: The untouched plate.
Defining characteristics: Second child. Dearth of pity.
Admission, made in a rare moment of weakness: Seriously, other than this whole “food thing,” I’m a total puppy dog.
Means of survival: Snacks. The refusenik is relentlessly hungry, except when it’s time to actually, you know, eat.
The Negotiator
Ideal Meal: Double Stuffed Oreos, the promise of which is the only reason he eats anything else.
Overheard at lunchtime: “What’ll you give me if I eat this?”
Overheard at bedtime: “I thought you said there was no story tonight.”
The Pint-Sized Paggro
Ideal meal: Peanut butter and jelly sandwich, but only after having refused the breaded chicken cutlets she asked you to make, followed by the bowl of pasta she then told you she’d rather have instead, but only after you’d rinsed off the cheese she asked you to put on it.
Modus operandi: I am open to life and all its possibilities…if you really insist.
Official motto: “Welp, I changed my mind.”
Despondent dad to despondent mom, after Pint-Sized Paggro has finally surrendered to sleep: “I don’t get it. He ate everything as a baby.”
What despondent dad does not realize: The battle has already been lost.
The Starch King of Starchy McCarbLand
Ideal meal: Bowl of rigatoni with butter, garlic salt, and some melted, mild, extremely white cheese; a slab of white bread; a side of mashed potatoes; a non-alcoholic hefeweizen (no lemon).
At night, dreams of: Baby unicorns, soccer field heroics, and the lusty crunch of a good, artisanal sourdough.
In twenty years, will be: Bestselling author of The White Diet or a clog-wearing assistant brewmaster at The Hoppy Tippler in Madison, Wisconsin.
The Green-O-Phobe
Ideal meal: English muffin pizza made with ketchup. (Real pizza, for some reason, has oregano.)
Core belief: That life can be controlled.
In ten years, will be: That kid who shows up at college, picks the parsley off his chicken cordon bleu, and pretends to suppress a gag reflex every time he sees you eat a spear of asparagus.
In twenty years, will be: Begging his own picky children to please, for God sakes, have one bite of broccoli while never owning up to the fact that he never touched the stuff until he was 27 years old.
The L’il Gourmand
Ideal meal: Nobu’s miso-glazed black cod in the summer; Marcella Hazan’s Ragu in the winter.
Overheard in bed, at story time: “Dad, that pumpkin risotto was amazing. Was there sage in that?”
Defining beliefs: That iodized salt is not salt at all; that chocolate should always be at least 68% cacao; and that honey mustard is well and good, if you’re the kind of person — no offense — for whom “well and good” is enough.
Party trick: Telling nonplussed friends of her parents the difference between a bernaise and a hollandaise.
Favorite after-school activity: Listening to podcast of The Splendid Table while snacking on marcona almonds
In ten years, will be: Majoring in feminist food theory at Brown.
The Compartmentalizer
Modus operandi: Will not even sit down at the table if the potatoes are touching the broccoli.
Last question before bed: “Dad, is the DustBuster charging?”
Thing that keeps him up at night: Sauce.
The Chronic Pleaser
Ideal Meal: Spinach with liverwurst and a side of mushy brussels sprouts.
Defining Characteristics: First child. Perpetual milk mustache.
How to spot her in school: Raising hand politely, recycling her tissues, resisting urge to laugh at Tommy, the kind of charming, roguish troublemaker who she convinces herself she doesn’t like.
Favorite expression: “Mommy, watch!”
In ten years, will be: Still calling home four times a week to check in, even though she was just home — for the fifth time this semester — last weekend. (College is only twenty minutes away; she got into Pomona, but thought she’d be way too homesick to go.)
The Ketchup Junkie
[Between two parts of the article: data records]
<<<
one | MnZn4O5 | Materials Project | r²SCAN | relaxed; ρ = 5.44 g/cm3; V = 121.05 Å³/f.u.; magnetic moment = 0.0 Bohr magnetons per cell
1.0
-1.614 2.830 5.267
6.484 0.007 0.006
0.007 11.339 -5.275
O Zn Mn
20 16 4
Direct
0.181 0.545 0.287 O
0.579 0.645 0.689 O
0.771 0.943 0.890 O
0.636 0.908 0.254 O
0.181 0.045 0.287 O
0.235 0.810 0.864 O
0.370 0.341 0.490 O
0.972 0.243 0.091 O
0.370 0.841 0.490 O
0.579 0.145 0.689 O
0.038 0.008 0.655 O
0.835 0.706 0.461 O
0.771 0.443 0.890 O
0.636 0.408 0.254 O
0.038 0.508 0.655 O
0.835 0.206 0.461 O
0.972 0.743 0.091 O
0.441 0.610 0.057 O
0.235 0.310 0.864 O
0.441 0.110 0.057 O
0.471 0.868 0.967 Zn
0.339 0.334 0.332 Zn
0.067 0.766 0.566 Zn
0.067 0.266 0.566 Zn
0.532 0.131 0.534 Zn
0.669 0.667 0.165 Zn
0.139 0.034 0.132 Zn
0.669 0.167 0.165 Zn
0.931 0.233 0.936 Zn
0.532 0.631 0.534 Zn
0.339 0.834 0.332 Zn
0.471 0.368 0.967 Zn
0.931 0.733 0.936 Zn
0.740 0.435 0.732 Zn
0.139 0.534 0.132 Zn
0.740 0.935 0.732 Zn
0.270 0.069 0.769 Mn
0.270 0.569 0.769 Mn
0.871 0.464 0.365 Mn
0.871 0.964 0.365 Mn

two | MnZn4O5 | Materials Project | r²SCAN | relaxed; ρ = 5.41 g/cm3; V = 121.68 Å³/f.u.; magnetic moment = 19.9 Bohr magnetons per cell
1.0
3.087 0.718 0.778
-5.040 25.939 2.879
-1.324 -0.250 5.491
O Zn Mn
20 16 4
Direct
0.737 0.526 0.070 O
0.588 0.821 0.257 O
0.188 0.624 0.855 O
0.491 0.019 0.157 O
0.834 0.329 0.168 O
0.939 0.125 0.271 O
0.785 0.428 0.453 O
0.334 0.329 0.668 O
0.439 0.125 0.771 O
0.638 0.723 0.973 O
0.285 0.428 0.953 O
0.540 0.920 0.872 O
0.237 0.526 0.570 O
0.688 0.624 0.355 O
0.890 0.224 0.554 O
0.088 0.821 0.757 O
0.991 0.019 0.657 O
0.040 0.920 0.372 O
0.390 0.224 0.054 O
0.138 0.723 0.473 O
0.749 0.503 0.414 Zn
0.552 0.897 0.217 Zn
0.599 0.798 0.935 Zn
0.249 0.503 0.914 Zn
0.502 0.995 0.835 Zn
0.200 0.601 0.533 Zn
0.099 0.798 0.435 Zn
0.402 0.200 0.733 Zn
0.700 0.601 0.033 Zn
0.296 0.405 0.631 Zn
0.650 0.699 0.318 Zn
0.796 0.405 0.131 Zn
0.002 0.995 0.335 Zn
0.052 0.897 0.717 Zn
0.150 0.699 0.818 Zn
0.902 0.200 0.233 Zn
0.348 0.301 0.016 Mn
0.953 0.096 0.619 Mn
0.453 0.096 0.119 Mn
0.848 0.301 0.516 Mn

The most stable of them is one.

one | Mo2P3O13 | Materials Project | r²SCAN | relaxed; ρ = 2.96 g/cm3; V = 276.52 Å³/f.u.; magnetic moment = 2.0 Bohr magnetons per cell
1.0
8.789 0.000 0.000
-2.501 8.633 0.000
-3.141 -4.316 7.289
Mo P O
4 6 26
Direct
0.017 0.342 0.180 Mo
0.337 0.163 0.820 Mo
0.663 0.837 0.180 Mo
0.983 0.658 0.820 Mo
0.095 0.156 0.422 P
0.173 0.734 0.578 P
0.258 0.508 0.016 P
0.742 0.492 0.984 P
0.827 0.266 0.422 P
0.905 0.844 0.578 P
0.015 0.265 0.530 O
0.068 0.031 0.720 O
0.090 0.514 0.897 O
0.115 0.849 0.018 O
0.147 0.251 0.323 O
0.153 0.691 0.721 O
0.193 0.600 0.443 O
0.216 0.439 0.137 O
0.251 0.158 0.558 O
0.307 0.383 0.897 O
0.323 0.928 0.676 O
0.402 0.168 0.018 O
0.421 0.697 0.136 O
0.579 0.303 0.864 O
0.598 0.832 0.982 O
0.677 0.072 0.324 O
0.693 0.617 0.103 O
0.749 0.842 0.442 O
0.784 0.561 0.863 O
0.807 0.400 0.557 O
0.847 0.309 0.279 O
0.853 0.749 0.677 O
0.885 0.151 0.982 O
>>>
Ideal meal: French fries with ketchup, chicken with ketchup, flounder with ketchup, pasta with ketchup, steak with ketchup, ketchup with ketchup. Ketchup.
Last thought before bed: Ketchup!
First thought upon waking: “Only four more hours till ketchup.”
Overheard at TumbleBugs party: “Come on, it’s ketchup time somewhere in the world.”
In twenty years, will be: A normal, healthy eater. Just like the rest of these characters.
Art by Jessica Zadnik, who also provided the illustrations for Time for Dinner.
This needs to be made into a poster for family
kitchens – brilliant.
I see me and my kids in varying degrees! Mikey Pollan, Li’l Gourmand, The Starchy King of Starchy McCarbland LOL.
Brilliant. I especially appreciate the happy ending. (And Things That Keep Him Up At Night: Sauce.)
Ketchup and carbs are two major food groups in our 4 year old’s world…you hit the nail on the head.
And, hey – thanks for the Madison, WI shout-out! No Hoppy Tippler here yet but we have the always marvelous Great Dane!
Hilarious! I can see a few of those in my household…
Also enjoyed the Madison, WI reference… you must have quite a following from our fair city. 🙂
I’ve got a Refusenik, a Negotiator, a Paggro and a Green-o-Phobe – and I’ve only got two kids! Ha! This one’s getting shared, for sure!
this. is. HILARIOUS!! i’m am SO a chronic pleaser.
This is HILARIOUS. Especially to a person who wrote a whole book about her picky eater (who, sadly, seems to be a combination of all of the above, with heavy emphasis on The Negotiator. I hope he’ll at least put it to good use and be a trial lawyer and support me in my old age).
brilliant. coming from a parent whose baby now eats everything, including at lunch just today: anchovies, olives, parsnip puree, breadsticks, gazpacho and, for good measure, earth’s best summer vegetable medley followed by breast milk. husband’s response: have fun with that diaper!
Love it! I’m married to a Ketchup Junkie and have a Refusenik and a Negotiator for kids. No comment on where I fall. 😉 Thanks for the e-mail. I’m glad to have finally found your blog!
Brilliant—I’m raising 3 compartmentalizers right now, and last night they actually ate salad. They’ve always eaten baby spinach, red peppers & cucumbers but last night they were all in the same bowl! Only one tried the dressing, but it was still a breakthrough:)
You made this comment eight years ago, what’s happening at the supper table these days?
oh that was funny……. and what a funny poster that would make.
I laughed till I cried with this blog post. Perhaps because I spent my morning literally peeling an apple with my teeth (while pushing a stroller to school) since my Pint-Sized Paggro refused to eat the skin.
Love it! Mikey Pollan is so my son. He told me the other day that he really wished that he could get string cheese made out of blue cheese. 🙂 His sister, though… Somewhere between The Starch King of Starchy McCarbLand and a Refusenik.
I laughed so much at this… you are just brilliant.
The Starch King.
Bravo!! My first is very picky. I always tell people to take the pickiest kid you know and times that by 10. My second child ate anything as a baby but has gotten increasingly pickier since age 2. I’m convinced that she’s a “Negotiator.”
Very funny – and I think I’ve seen a little bit of each of these in my 4-year old (only) son. Amazing the phases they go through, some last weeks and some just days. Fortunately for the past year or so, he’s been in a very good “I’ll try lots of new things” phase, although it has been trumped by a few passing phases along the way. The hamburger, pizza, and donut phases come to mind 🙂 He’s also a master negotiator…not sure I want to pay for law school but it just might be in our future.
Great post! Thanks for making me laugh.
Very funny and true! I have three kids who manifest many of these traits, youngest definitely a Refusenik, oldest a Lil’ Gourmand. I keep reminding myself that they can grow out of their picky eater stages and to try not to battle over it too much– a little humor helps!
I’m probably in there somewhere, but I couldn’t get past the Roman numerals in the image at the top. “XXVX” doesn’t mean anything, or at best it means the same as “XXV”, so it would never be seen. I’m sure you didn’t create the image. Just pass the info along to whoever did.
The best part is that the previous post of baked potato bar can fulfill every one of the descriptions! Keep ’em coming…thanks 🙂
That is so many kinds of awesome I don’t know where to begin.
Wow, thanks for making me laugh! You are a tremendous writer!!!
This is great! The “Mikey Pollan” category reminded me of a Michael Pollan interview I read where he said that his own son was a picky eater. I remember that when I begin to lose hope for getting my refusenik not to refuse.